Outside Computers

Sunday, March 28, 2010

Demonoid Codes

I will be giving 5 invitation codes. But please follow the rules and regulation of demonoid. In torrents mostly on demonoid, you cannot be always downloading files, you must be able to seed also, not LEECH, so if you cannot seed then you cannot join demonoid.

[The piece is interrupted by calculated crystals]
<<<
Record 1
A geometry-optimized BaAl9Fe2 structure, computed with PBE-GGA.

The structure in POSCAR format:
```
BaAl9Fe2
1.0
-2.230 3.256 -0.166
4.389 3.304 5.825
2.083 1.036 -7.661
Al Fe Ba
9 2 1
Direct
0.500 0.783 0.566
0.500 0.566 0.783
0.500 0.783 0.217
0.500 0.217 0.783
0.500 0.434 0.217
0.500 0.217 0.434
0.000 0.500 0.500
0.000 0.500 0.000
0.000 0.000 0.500
0.000 0.333 0.667
0.000 0.667 0.333
0.000 0.000 0.000
```

electronic total energy: -4.6975 eV/atom
SG: P6/mmm
calculated volume: 18.27 Å³ per atom
DFT formation energy: -0.317 eV per atom

Record 2
A geometry-optimized Ba3Al3Ga2 structure, computed with PBE-GGA.

The structure in POSCAR format:
```
Ba3Al3Ga2
1.0
1.202 4.752 -3.466
-3.781 -4.244 -1.931
-11.284 7.286 6.078
Ba Al Ga
6 6 4
Direct
0.000 0.000 0.000
0.333 0.667 0.624
0.667 0.333 0.376
0.333 0.667 0.876
0.667 0.333 0.124
0.000 0.000 0.500
0.842 0.685 0.750
0.685 0.842 0.250
0.842 0.158 0.750
0.158 0.842 0.250
0.158 0.315 0.250
0.315 0.158 0.750
0.333 0.667 0.113
0.667 0.333 0.613
0.667 0.333 0.887
0.333 0.667 0.387
```

electronic total energy: -3.2244 eV/atom
SG: P6_3/mmc
calculated volume: 28.76 Å³ per atom
DFT formation energy: -0.343 eV per atom

Record 3
A geometry-optimized Ba5Gd2ZrAl2O13 structure, computed with PBE-GGA.

The structure in POSCAR format:
```
Ba5Gd2ZrAl2O13
1.0
-3.923 0.567 4.596
-2.049 -0.722 -5.668
0.082 -25.263 3.188
Ba Zr O Al Gd
10 2 26 4 4
Direct
0.333 0.667 0.959
0.667 0.333 0.750
0.333 0.667 0.250
0.667 0.333 0.041
0.333 0.667 0.541
0.000 0.000 0.864
0.000 0.000 0.136
0.667 0.333 0.459
0.000 0.000 0.636
0.000 0.000 0.364
0.000 0.000 0.000
0.000 0.000 0.500
0.493 0.987 0.841
0.493 0.507 0.659
0.507 0.013 0.341
0.677 0.838 0.050
0.493 0.507 0.841
0.507 0.013 0.159
0.987 0.493 0.341
0.507 0.493 0.159
0.323 0.162 0.550
0.162 0.323 0.050
0.013 0.507 0.659
0.493 0.987 0.659
0.333 0.667 0.750
0.987 0.493 0.159
0.677 0.838 0.450
0.323 0.162 0.950
0.838 0.677 0.950
0.162 0.323 0.450
0.838 0.677 0.550
0.507 0.493 0.341
0.162 0.838 0.050
0.838 0.162 0.950
0.838 0.162 0.550
0.013 0.507 0.841
0.162 0.838 0.450
0.667 0.333 0.250
0.667 0.333 0.318
0.333 0.667 0.682
0.667 0.333 0.182
0.333 0.667 0.818
0.667 0.333 0.896
0.333 0.667 0.396
0.333 0.667 0.104
0.667 0.333 0.604
```

electronic total energy: -8.1871 eV/atom
SG: P6_3/mmc
calculated volume: 17.66 Å³ per atom
DFT formation energy: -3.440 eV per atom
M_tot: 13.97 μB/f.u.

Record 4
A geometry-optimized BaAlGe structure, computed with PBE-GGA.

The structure in POSCAR format:
```
BaAlGe
1.0
0.521 4.130 -1.382
3.076 -1.882 2.499
2.406 -1.731 -4.265
Ba Al Ge
1 1 1
Direct
0.000 0.000 0.000
0.667 0.333 0.500
0.333 0.667 0.500
```

electronic total energy: -3.9051 eV/atom
SG: P-6m2
calculated volume: 28.85 Å³ per atom
DFT formation energy: -0.476 eV per atom

Record 5
A geometry-optimized Ba3Al2Ge2 structure, computed with PBE-GGA.

The structure in POSCAR format:
```
Ba3Al2Ge2
1.0
-4.048 -0.669 1.498
0.105 -4.808 -1.865
5.767 -0.580 8.953
Ge Ba Al
2 3 2
Direct
>>>

If you are willing to help to seed more in demonoid , i will give you the invitation code.

in order to give you the code you must comply with me.
1. Email me through your main email account
2. tell me your username
3. follow the rules
4. Contact info
you can email me here. lickweed_21@yahoo.com

Monday, March 22, 2010

~~~
1.
Computed, not measured: crystalline Sm3Bi4Au3 at its relaxed geometry at the r2SCAN level of DFT.

Magnetic moment ... 0.0 μB per formula unit
Symmetry ... I-43d, No. 220
Formation energy ... -820 meV per atom
Energy ... -966.327 eV/cell

a = 8.8363 Å, b = 8.8363 Å, c = 8.8363 Å
α = 109.47°, β = 109.47°, γ = 109.47°
Fractional positions:
Sm: 0.1250 0.8750 0.2500
Sm: 0.2500 0.1250 0.8750
Sm: 0.3750 0.6250 0.7500
Sm: 0.6250 0.7500 0.3750
Sm: 0.7500 0.3750 0.6250
Sm: 0.8750 0.2500 0.1250
Bi: 0.0000 0.1783 0.5000
Bi: 0.0000 0.6783 0.5000
Bi: 0.1783 0.5000 0.0000
Bi: 0.3217 0.3217 0.3217
Bi: 0.5000 0.0000 0.1783
Bi: 0.5000 0.0000 0.6783
Bi: 0.6783 0.5000 0.0000
Bi: 0.8217 0.8217 0.8217
Au: 0.1250 0.7500 0.8750
Au: 0.2500 0.6250 0.3750
Au: 0.3750 0.2500 0.6250
Au: 0.6250 0.3750 0.2500
Au: 0.7500 0.8750 0.1250
Au: 0.8750 0.1250 0.7500

2.
Computed, not measured: crystalline CsAuBr3 at its relaxed geometry at the r2SCAN level of DFT.

Magnetic moment ... 0.0 μB per formula unit
Symmetry ... I4/mmm, No. 139
Formation energy ... -1044 meV per atom
Energy ... -241.380 eV/cell

a = 7.9586 Å, b = 7.9586 Å, c = 7.9586 Å
α = 121.23°, β = 121.23°, γ = 87.88°
Fractional positions:
Cs: 0.2500 0.7500 0.5000
Cs: 0.7500 0.2500 0.5000
Au: 0.0000 0.0000 0.0000
Au: 0.5000 0.5000 0.0000
Br: 0.2131 0.2131 0.0000
Br: 0.2746 0.2746 0.5491
Br: 0.2746 0.7254 0.0000
Br: 0.7254 0.2746 0.0000
Br: 0.7254 0.7254 0.4509
Br: 0.7869 0.7869 0.0000


The following is a DFT calculation (PBE) of a relaxed Zn2Sn3O8 crystal.

CIF file:
```
data_Zn2Sn3O8
_chemical_formula_sum 'Zn4 Sn6 O16'
_cell_length_a 6.3349
_cell_length_b 6.3349
_cell_length_c 9.5061
_cell_angle_alpha 90.00
_cell_angle_beta 90.00
_cell_angle_gamma 120.00
_space_group_name_H-M_alt 'P 63 m c'
_space_group_IT_number 186
_space_group_name_Hall 'P 6c -2c'
loop_
_atom_site_label
_atom_site_fract_x
_atom_site_fract_y
_atom_site_fract_z
Zn1 0.3333 0.6667 0.0000
Zn2 0.3333 0.6667 0.3644
Sn1 0.1641 0.3282 0.7046
O1 0.0000 0.0000 0.3179
O2 0.0328 0.5164 0.8303
O3 0.1665 0.3330 0.0994
O4 0.3333 0.6667 0.5866
```

Computed properties:
DFT formation energy = -1.944 eV/atom
Calculated total energy = -5.69 eV per atom
Largest piezoelectric modulus = 0.23 C/m²


The following is a DFT calculation (PBE) of an optimized crystal structure of Al2TcPd.

Summary:
For the formation energy from the elements, the calculation gives -0.644 eV/atom. The calculation puts the total energy at -25.61 eV per formula unit.

a = 4.307 Å, b = 4.307 Å, c = 4.307 Å
α = 60.00°, β = 60.00°, γ = 60.00°
Element x y z (fractional)
Al 0.750 0.750 0.750
Al 0.250 0.250 0.250
Tc 0.000 0.000 0.000
Pd 0.500 0.500 0.500

---

The following is a DFT calculation (PBE) of an optimized crystal structure of NdCl2.

Summary:
For the formation energy from the elements, the calculation gives -2.315 eV/atom. The value obtained for the total magnetization is 0.234 μB/f.u. The calculation puts the total energy at -14.18 eV per formula unit.
~~~

Adding items in combo boxes from mysql database in vb.net

In this post, I will give some sample codes on how to populate your combo box from your database using datasets.

In this example code, I will use MYSQL as my database and VB.net 2005 teamsuite.

First part of the code: we write a code on setting up a connection on our database and here it is.
Dim dataset1 As DataSet = New DataSet
Dim dataadapter1 As MySqlDataAdapter = New MySqlDataAdapter

Dataset this is where we will put all the data that we will get from our datasources
Dataadapter this is our connection or bridge to our connection object and our dataset

2nd part : Getting the data from the database

Dim msql As String = "Select EmpId from tblempinfo" 'SQL query to select what data will be shown in the combo box
myda1.SelectCommand = New MySqlCommand(msql, mysqlcon) 'will trigger the selected sql query to get the data we needed

3rd Part: filling up the Combo box

myda1.Fill(myds1) 'the data adapter will fill our dataset to hold the data
cboEmp.DataSource = myds1.Tables(0) 'this code will connect the combo box and the database using datasets ,setting up a data source.
cboEmp.DisplayMember = "EmpId" 'this will filter what data to be displayed on the combo box
cboEmp.ValueMember = "EmpId" 'this will set or get the actual value of the displayed member.

A plane-wave DFT calculation with PBE was carried out for a relaxed structure of CaAl2Si3O13.

Output
Space-group type: Cc (9)
Crystal system: monoclinic
Calculated formation energy: -2.544 eV/atom
Magnetization: 0.32 μB per atom

a b c (Å): 9.7412 9.7412 9.7255
angles (deg): 96.15 96.15 139.80
Closest atoms and distances in Å follow each position.
Fractional coordinates of all 38 atoms:
Ca  0.1046  0.8954  0.5000  6 O 2.37-2.58
Ca  0.8954  0.1046  0.0000  6 O 2.37-2.58
Al  0.0290  0.4755  0.5209  4 O 1.73-1.78
Al  0.1661  0.2268  0.3840  4 O 1.75-1.79
Al  0.2268  0.1661  0.8840  4 O 1.75-1.79
Al  0.4755  0.0290  0.0209  4 O 1.73-1.78
Si  0.0602  0.7326  0.7633  4 O 1.63-1.65
Si  0.1556  0.9813  0.1477  4 O 1.60-1.66
Si  0.4958  0.7405  0.4600  4 O 1.63-1.64
Si  0.7326  0.0602  0.2633  4 O 1.63-1.65
Si  0.7405  0.4958  0.9600  4 O 1.63-1.64
Si  0.9813  0.1556  0.6477  4 O 1.60-1.66
O  0.0342  0.3536  0.6343  1 Si 1.60, 1 Al 1.73
O  0.0453  0.5715  0.2668  1 O 2.03
O  0.0470  0.4608  0.0783  1 O 2.03
O  0.0738  0.1915  0.8162  1 Si 1.64, 1 Al 1.76
O  0.0868  0.1317  0.5396  1 Si 1.66, 1 Al 1.79
O  0.1317  0.0868  0.0396  1 Si 1.66, 1 Al 1.79
O  0.1361  0.9509  0.7548  1 Si 1.65, 1 Al 1.77
O  0.1915  0.0738  0.3162  1 Si 1.64, 1 Al 1.76
O  0.2642  0.8068  0.8620  1 Si 1.63, 1 Al 1.76
O  0.2911  0.6772  0.4849  1 Si 1.64, 1 Al 1.78
O  0.3536  0.0342  0.1343  1 Si 1.60, 1 Al 1.73
O  0.4118  0.5141  0.4219  1 Si 1.64, 1 Al 1.75
O  0.4608  0.0470  0.5783  1 O 2.03
O  0.5141  0.4118  0.9219  1 Si 1.64, 1 Al 1.75
O  0.5689  0.8455  0.3247  2 Si 1.63
O  0.5715  0.0453  0.7668  1 O 2.03
O  0.5748  0.6845  0.8653  1 O 2.39, 1 Ca 2.58
O  0.6157  0.9915  0.0933  1 Si 1.64, 1 Al 1.76
O  0.6772  0.2911  0.9849  1 Si 1.64, 1 Al 1.78
O  0.6845  0.5748  0.3653  1 O 2.39, 1 Ca 2.58
O  0.7104  0.9165  0.6053  2 Si 1.64-1.65
O  0.8068  0.2642  0.3620  1 Si 1.63, 1 Al 1.76
O  0.8455  0.5689  0.8247  2 Si 1.63
O  0.9165  0.7104  0.1053  2 Si 1.64-1.65
O  0.9509  0.1361  0.2548  1 Si 1.65, 1 Al 1.77
O  0.9915  0.6157  0.5933  1 Si 1.64, 1 Al 1.76


[1]
Computed, not measured: a relaxed structure of FeW2O8 at the PBE+U level of DFT.

Values from the calculation:
Volume (A^3/atom): 12.93
Energy relative to the lowest polymorph listed for this composition (eV/f.u.): 0.00
VASP energy (eV/atom): -7.06

a b c (Å): 7.5895 7.5895 5.0696
angles (deg): 88.38 88.38 102.79
Atoms (fractional coordinates):
O: 0.7015 0.5716 0.4130
O: 0.3265 0.9290 0.8715
O: 0.8085 0.8872 0.5301
Fe: 0.6741 0.3259 0.2500
O: 0.5716 0.7015 0.9130
O: 0.1915 0.1128 0.4699
W: 0.8388 0.6608 0.7309
O: 0.5578 0.2163 0.5823
O: 0.9290 0.3265 0.3715
O: 0.2985 0.4284 0.5870
O: 0.1128 0.1915 0.9699
Fe: 0.3259 0.6741 0.7500
O: 0.7837 0.4422 0.9177
W: 0.3392 0.1612 0.7691
O: 0.6735 0.0710 0.1285
O: 0.8872 0.8085 0.0301
W: 0.1612 0.3392 0.2691
O: 0.4422 0.7837 0.4177
O: 0.0710 0.6735 0.6285
O: 0.2163 0.5578 0.0823
W: 0.6608 0.8388 0.2309
O: 0.4284 0.2985 0.0870

---

[2]
(So much for the crystal structures)

I hope this sample code will help you

Enjoy Coding.

On the next post : setting up the reports from the selected value on the combo box

Thursday, March 18, 2010

Crystal Reports VB.net how to connect them

In this post, this will show you how to connect these 3 programs namely : VB.net , Crystal Reports XI, first is you can add a crystal report viewer object so that it can browse some crystal report files , then after adding the viewer, you can now set the report source of the viewer either by wizard or by coding it.

the sample code is like this

Private Sub ComboBox1_SelectedIndexChanged(ByVal sender As System.Object, ByVal e As System.EventArgs) Handles ComboBox1.SelectedIndexChanged
If ComboBox1.SelectedIndex = 0 Then
Form2.CrystalReportViewer1.ReportSource = Application.StartupPath + "\reports\CrystalReport3.rpt"

this code above will set the report source or the report that will be printed on the report viewer depending on what the user selected in the combo box.

Form2.CrystalReportViewer1.SelectionFormula() = "{tblsched.EmpId} = '" & TextBox1.Text & "'"
Form2.CrystalReportViewer1.ReportSource = Application.StartupPath + "\reports\CrystalReport2.rpt"
End If
End Sub

the 2nd quoted code shows what data will be shown depending on the value of the textbox then you can choose what report will be printed by selecting an item in the combo box.

Note: You can add you created reports in the vb.net proj so that it will accept the application.startuppath code, you can place the reports inside the bin directory

if there's some problem in this tutorial just post here your comment or leave a message

enjoy coding!!

Wednesday, March 17, 2010



this blog is all about helping newbie programmers out there, i hope this blog will help you and if you have some problems regarding in your programs you can post it here and i would gladly help you